<<<
Structure and theoretical X-ray diffraction stick pattern of Pm2Sm3Er7 (DFT lattice parameters and positions (PBE); Cu Kα (λ = 1.5418 Å)).
Intensities are scaled so that the largest is 100.

Structural model:
```
12
Lattice="6.357 0.000 0.000 0.000 3.536 0.000 -0.008 0.000 17.235" Properties=species:S:1:pos:R:3 pbc="T T T"
Pm 0.040 0.000 3.018
Pm 6.309 0.000 14.217
Sm -0.004 0.000 8.618
Sm 3.175 1.768 2.751
Sm 3.174 1.768 14.484
Er 1.115 1.768 5.799
Er 1.618 0.000 0.002
Er 2.077 0.000 11.456
Er 3.175 1.768 8.618
Er 4.272 0.000 5.779
Er 4.731 0.000 17.234
Er 5.234 1.768 11.437
```

Principal peaks in the range 2θ from 5° to 70°, low angle first:
| two_theta | I (rel.) |
| --- | --- |
| 29.36 | 24 |
| 30.73 | 24 |
| 31.14 | 69 |
| 32.19 | 94 |
| 32.91 | 100 |
| 50.19 | 26 |
| 51.70 | 23 |
| 60.25 | 29 |
| 61.59 | 23 |
| 62.22 | 31 |

Structure and theoretical X-ray diffraction stick pattern of Pm2Sm2Er5 (DFT lattice parameters and positions (PBE); Cu Kα (λ = 1.5418 Å)).
Intensities are scaled so that the largest is 100.

Structural model:
```
18
Lattice="-7.469 5.896 3.364 7.469 -5.896 3.364 7.469 5.896 -3.364" Properties=species:S:1:pos:R:3 pbc="T T T"
Pm 1.894 0.056 0.000
Pm 5.575 0.056 0.000
Pm 1.894 5.840 3.364
Pm 5.575 5.840 3.364
Sm 0.000 0.000 3.034
Sm 7.469 0.000 3.034
Sm 3.735 -0.132 3.702
Sm 3.735 6.028 0.337
Er 3.735 2.916 -1.013
Er 9.596 3.118 -1.115
Er 5.343 -2.778 2.250
Er 0.795 3.038 1.003
Er 6.674 3.038 1.003
Er -2.126 2.778 2.250
Er 9.596 2.778 2.250
Er 3.735 2.981 2.352
Er -0.795 8.754 1.003
Er 0.795 2.858 4.368
```

Principal peaks in the range 2θ from 5° to 70°, low angle first:
| two_theta | I (rel.) |
| --- | --- |
| 28.36 | 80 |
| 30.32 | 100 |
| 30.59 | 74 |
| 30.87 | 63 |
| 32.91 | 69 |
| 33.02 | 52 |
| 35.75 | 52 |
| 37.82 | 42 |
| 39.63 | 28 |
| 58.67 | 24 |

Structure and theoretical X-ray diffraction stick pattern of Pm3Sm2Er3 (DFT lattice parameters and positions (PBE); Cu Kα (λ = 1.5418 Å)).
Intensities are scaled so that the largest is 100.

Structural model:
```
16
Lattice="5.754 0.000 0.000 0.000 14.607 0.000 -0.006 0.000 6.304" Properties=species:S:1:pos:R:3 pbc="T T T"
Pm 1.433 3.652 1.052
Pm 1.437 9.115 4.194
Pm 1.437 12.796 4.194
Pm 4.311 1.811 2.110
Pm 4.311 5.492 2.110
Pm 4.316 10.955 5.253
Sm 1.435 1.818 4.221
Sm 1.435 5.486 4.221
Sm 4.313 9.121 2.083
Sm 4.313 12.789 2.083
Er 1.437 7.312 1.042
Er 1.440 10.955 1.036
Er 1.437 14.599 1.042
Er 4.312 0.008 5.262
Er 4.309 3.652 5.269
Er 4.312 7.296 5.262
```

Principal peaks in the range 2θ from 5° to 70°, low angle first:
| two_theta | I (rel.) |
| --- | --- |
| 28.26 | 24 |
| 31.08 | 25 |
| 32.34 | 100 |
| 42.51 | 16 |
| 49.95 | 7 |
| 50.08 | 13 |
| 56.10 | 21 |
| 60.05 | 15 |
| 60.15 | 8 |
| 60.79 | 11 |

Structure and theoretical X-ray diffraction stick pattern of Pm2SmEr2 (DFT lattice parameters and positions (PBE); Cu Kα (λ = 1.5418 Å)).
Intensities are scaled so that the largest is 100.

Structural model:
```
10
Lattice="6.223 0.000 0.000 0.000 3.591 0.000 -0.015 0.000 14.614" Properties=species:S:1:pos:R:3 pbc="T T T"
Pm 1.037 0.000 5.787
Pm 2.060 1.795 8.827
Pm 4.148 1.795 5.787
Pm 5.171 0.000 8.827
Sm 0.000 1.795 0.000
Sm 3.111 0.000 0.000
Er 1.020 0.000 11.720
Er 2.076 1.795 2.894
Er 4.131 1.795 11.720
Er 5.188 0.000 2.894
```

Principal peaks in the range 2θ from 5° to 70°, low angle first:
| two_theta | I (rel.) |
| --- | --- |
| 29.36 | 30 |
| 30.59 | 45 |
| 31.25 | 100 |
| 34.20 | 70 |
| 37.99 | 19 |
| 50.84 | 33 |
| 52.81 | 25 |
| 58.60 | 13 |
| 60.51 | 39 |
| 60.90 | 15 |

* * * * *

# 1
Diffraction record for KMgIn. The PXRD pattern is simulated, not measured: it uses a GGA-PBE-relaxed structure and CuKα.

The 6 most intense peaks (15 to 90 degrees two-theta), by intensity:
30.68°, d 2.914, I 1000; 16.66°, d 5.320, I 923; 35.27°, d 2.545, I 800; 33.84°, d 2.649, I 755; 23.71°, d 3.753, I 637; 37.97°, d 2.370, I 507

Crystal structure
Lattice parameters (Å, degrees): 5.803 5.299 7.179 90.00 113.38 90.00
>>>

Please reproduce the part of the lines earlier on that starts with the line with "0.040 0.000" and stops after the one with "32.34".

Pm 0.040 0.000 3.018
Pm 6.309 0.000 14.217
Sm -0.004 0.000 8.618
Sm 3.175 1.768 2.751
Sm 3.174 1.768 14.484
Er 1.115 1.768 5.799
Er 1.618 0.000 0.002
Er 2.077 0.000 11.456
Er 3.175 1.768 8.618
Er 4.272 0.000 5.779
Er 4.731 0.000 17.234
Er 5.234 1.768 11.437
```

Principal peaks in the range 2θ from 5° to 70°, low angle first:
| two_theta | I (rel.) |
| --- | --- |
| 29.36 | 24 |
| 30.73 | 24 |
| 31.14 | 69 |
| 32.19 | 94 |
| 32.91 | 100 |
| 50.19 | 26 |
| 51.70 | 23 |
| 60.25 | 29 |
| 61.59 | 23 |
| 62.22 | 31 |

Structure and theoretical X-ray diffraction stick pattern of Pm2Sm2Er5 (DFT lattice parameters and positions (PBE); Cu Kα (λ = 1.5418 Å)).
Intensities are scaled so that the largest is 100.

Structural model:
```
18
Lattice="-7.469 5.896 3.364 7.469 -5.896 3.364 7.469 5.896 -3.364" Properties=species:S:1:pos:R:3 pbc="T T T"
Pm 1.894 0.056 0.000
Pm 5.575 0.056 0.000
Pm 1.894 5.840 3.364
Pm 5.575 5.840 3.364
Sm 0.000 0.000 3.034
Sm 7.469 0.000 3.034
Sm 3.735 -0.132 3.702
Sm 3.735 6.028 0.337
Er 3.735 2.916 -1.013
Er 9.596 3.118 -1.115
Er 5.343 -2.778 2.250
Er 0.795 3.038 1.003
Er 6.674 3.038 1.003
Er -2.126 2.778 2.250
Er 9.596 2.778 2.250
Er 3.735 2.981 2.352
Er -0.795 8.754 1.003
Er 0.795 2.858 4.368
```

Principal peaks in the range 2θ from 5° to 70°, low angle first:
| two_theta | I (rel.) |
| --- | --- |
| 28.36 | 80 |
| 30.32 | 100 |
| 30.59 | 74 |
| 30.87 | 63 |
| 32.91 | 69 |
| 33.02 | 52 |
| 35.75 | 52 |
| 37.82 | 42 |
| 39.63 | 28 |
| 58.67 | 24 |

Structure and theoretical X-ray diffraction stick pattern of Pm3Sm2Er3 (DFT lattice parameters and positions (PBE); Cu Kα (λ = 1.5418 Å)).
Intensities are scaled so that the largest is 100.

Structural model:
```
16
Lattice="5.754 0.000 0.000 0.000 14.607 0.000 -0.006 0.000 6.304" Properties=species:S:1:pos:R:3 pbc="T T T"
Pm 1.433 3.652 1.052
Pm 1.437 9.115 4.194
Pm 1.437 12.796 4.194
Pm 4.311 1.811 2.110
Pm 4.311 5.492 2.110
Pm 4.316 10.955 5.253
Sm 1.435 1.818 4.221
Sm 1.435 5.486 4.221
Sm 4.313 9.121 2.083
Sm 4.313 12.789 2.083
Er 1.437 7.312 1.042
Er 1.440 10.955 1.036
Er 1.437 14.599 1.042
Er 4.312 0.008 5.262
Er 4.309 3.652 5.269
Er 4.312 7.296 5.262
```

Principal peaks in the range 2θ from 5° to 70°, low angle first:
| two_theta | I (rel.) |
| --- | --- |
| 28.26 | 24 |
| 31.08 | 25 |
| 32.34 | 100 |